Italian Word of the Week

Italian Word of the Week CITTADINI

italicsBy Daniela Gross

The word of the week, “cittadini”, indicates the citizens and is usually opposed to the word “suddito”, which means subject. As in English, “cittadino” (to be pronounced chit-ta-dee-no) has a more political than geographical meaning.
The word …

Italian Word of the Week NEGAZIONISMO

italicsBy Daniela Gross

As we have learned since childhood, denial is a terrific way to escape from reality. When we tell our fantastic stories, all our misfits and mistakes seem to magically vanish. But when it comes to history, to …

Italian Word of the Week ARCHIVIO

italicsBy Daniela Gross

The Italian word “archivio” derives from Greek and Latin – “archium” or “archivium”. Except for the pronunciation, which is completely different (in Italian it sounds “ar-kee-vee-o), the word of the week is so similar to the English …

Italian Word of the Week COMMERCIALE

italicsBy Daniela Gross

“Commerciale” is the Italian version of the English “commercial, mercantile”. It is a word deriving from the Latin “commercium”, that indicates the action of trading goods or money. In European history, for many reasons, Jews were often …

Italian Word of the Week BELLA CIAO

italicsBy Daniela Gross

If you followed the news last week about the recent terrorist attacks in Paris and its victims, maybe you encountered these two Italian words: “Bella Ciao”. It’s the title of a popular Italian partisan hymn played during …

Italian Word of the Week CUCINA

italicsBy Daniela Gross

The word of this week is so beloved to the Italian way of life and thinking. “Cucina” – to be pronounced “kutchìna”- comes from the Latin. The “cucina” is the kitchen, and at the same time it …

Italian Word of the week TRADUZIONE

italicsBy Daniela Gross

“Tradurre è tradire”. It sounds like a tongue twister, and it is one of the best known Italian proverbs. It reminds us that “To translate is to betray”, and that any translation, even the most accurate one, …

Italian Word of the Week GIARDINO

italicsBy Daniela Gross

This is a difficult season for gardeners. When you look out the window and see only bare trees, dry lawns and no flowers for miles, it’s inevitable to feel a bit gloomy. However we can find comfort …

Italian Word of the Week LUCI

italicsBy Daniela Gross

┌──
(1)
First-principles (PBE-GGA) data for a relaxed La3HgO crystal, as listed in the Alexandria database.

```
La3HgO
1.0
-4.0355 3.4965 2.9475
1.8079 -4.6478 3.5112
4.7823 3.3033 -1.8484
Hg O La
1 1 3
direct
0.3997 0.3997 0.3997
0.9545 0.9545 0.9545
0.7155 0.7155 0.0899
0.0899 0.7155 0.7155
0.7155 0.0899 0.7155
```

Values from the calculation:
For the uncorrected formation energy, the calculation gives -904.8 meV per atom. As for the energy above the most stable polymorph in this dataset: 459 meV per atom.

***

(2)
First-principles (PBE-GGA) data for a relaxed Y2H2SCl crystal, as listed in the Alexandria database.

```
Y2H2SCl
1.0
3.7511 0.0000 0.0000
-1.8756 3.2486 0.0000
0.0000 0.0000 8.0214
H S Y Cl
2 1 2 1
direct
0.3333 0.6667 0.2452
0.6667 0.3333 0.7548
0.0000 0.0000 0.5000
0.3333 0.6667 0.7157
0.6667 0.3333 0.2843
0.0000 0.0000 0.0000
```

Values from the calculation:
For the total energy, the calculation gives -5.61 eV per atom.

***

(3)
First-principles (PBE-GGA) data for a relaxed CaCo2Hg crystal, as listed in the Alexandria database.

```
CaCo2Hg
1.0
4.9738 -0.0561 0.0000
1.4790 4.7492 0.0000
-3.2264 -2.3466 2.9709
Co Ca Hg
2 1 1
direct
0.0000 0.0000 0.0000
0.2500 0.7500 0.5000
0.7500 0.2500 0.5000
0.5000 0.5000 0.0000
```

Values from the calculation:
As for the formation energy: 0.38 eV per atom.

***

(4)
First-principles (PBE-GGA) data for a relaxed TlSnSb3 crystal, as listed in the Alexandria database.

```
TlSnSb3
1.0
5.7208 0.0000 0.0000
0.0000 5.7208 0.0000
0.0000 0.0000 5.7208
Sb Sn Tl
3 1 1
direct
0.0000 0.5000 0.0000
0.0000 0.0000 0.5000
0.5000 0.0000 0.0000
0.0000 0.0000 0.0000
0.5000 0.5000 0.5000
```

Values from the calculation:
For the uncorrected formation energy, the calculation gives 574.8 meV per atom. As for the energy above the most stable polymorph in this dataset: 0 meV per atom.

***

(5)
First-principles (PBE-GGA) data for a relaxed KSc2InBr crystal, as listed in the Alexandria database.

```
KSc2InBr
1.0
5.4327 0.0000 0.0000
0.0000 6.8521 0.0000
0.0000 0.0000 5.4327
Sc In K Br
2 1 1 1
direct
0.0000 0.0000 0.5000
0.5000 0.0000 0.0000
0.0000 0.0000 0.0000
0.0000 0.5000 0.0000
0.5000 0.5000 0.5000
```

Values from the calculation:
For the uncorrected formation energy, the calculation gives 126.7 meV per atom.

***

(6)
First-principles (PBE-GGA) data for a relaxed CeEuTlPt crystal, as listed in the Alexandria database.

```
CeEuTlPt
1.0
5.2994 0.0000 0.0000
2.6497 4.5894 0.0000
2.6497 1.5298 4.3270
Tl Eu Ce Pt
1 1 1 1
direct
0.0000 0.0000 0.0000
0.2500 0.2500 0.2500
0.7500 0.7500 0.7500
0.5000 0.5000 0.5000
```

Values from the calculation:
As for the formation energy: -0.52 eV per atom.

***

(7)
First-principles (PBE-GGA) data for a relaxed Mg2CuSe2 crystal, as listed in the Alexandria database.

```
Mg2CuSe2
1.0
-2.2227 2.2227 6.0947
2.2227 -2.2227 6.0947
2.2227 2.2227 -6.0947
Mg Cu Se
2 1 2
direct
0.7500 0.2500 0.5000
0.2500 0.7500 0.5000
0.0000 0.0000 0.0000
0.6354 0.6354 0.0000
0.3646 0.3646 0.0000
```
└──
End of the calculated crystals >

“Luci”, the word of the week, is strictly related to Hanukkah. Admittedly, Hanukkah is Hanukkah in Italy as all it is around the world. The only difference is that sometimes Italians transliterate this Hebrew word as “Chanukkah”, …

Italian Word of the Week PONTI

italics“Ponte” is the Italian word meaning “bridge”. It is a term that comes directly from Latin, and is very common in our country. We have bridges on rivers, and many of them are famous all over the world, such as …